Linux vs Windows - which is best for your PC?
Linux and Windows are two of the most popular operating systems in the world. Windows is utterly dominant in the desktop market, while Linux powers servers, IoT devices, and mobile phones.
To some people, a PC is just a PC regardless of which OS it runs, while to others, using anything other than Windows or a certain Linux distro is anathema. Windows and Linux have a lot in common, but there are also big differences between them. Here's what you need to know:
Closed vs Open

(A)
The following is a PBE calculation of a geometry-optimized MgSc2Nb2O8 structure, from Materials Project.

Unit cell a=5.116 b=5.926 c=5.176 alpha=90.00 beta=92.45 gamma=90.00
Sites, in units of the cell vectors:
Mg  0.000  0.000  0.000
Sc  0.000  0.471  0.000
Sc  0.000  0.742  0.500
Nb  0.500  0.255  0.500
Nb  0.500  0.965  0.000
O  0.217  0.746  0.849
O  0.237  0.469  0.346
O  0.256  0.221  0.843
O  0.262  0.978  0.324
O  0.738  0.978  0.676
O  0.744  0.221  0.157
O  0.763  0.469  0.654
O  0.783  0.746  0.151

* SG: P2



(B)
The following is a PBE calculation of a geometry-optimized MgSc2Nb2O8 structure, from Materials Project.

Unit cell a=5.131 b=5.955 c=5.142 alpha=90.00 beta=92.64 gamma=90.00
Sites, in units of the cell vectors:
Mg  0.000  0.000  0.000
Sc  0.500  0.261  0.500
Sc  0.500  0.927  0.000
Nb  0.000  0.466  0.000
Nb  0.000  0.724  0.500
O  0.216  0.740  0.163
O  0.233  0.475  0.665
O  0.245  0.967  0.680
O  0.256  0.225  0.152
O  0.744  0.225  0.848
O  0.755  0.967  0.320
O  0.767  0.475  0.335
O  0.784  0.740  0.837

* SG: P2



(C)
The following is a PBE calculation of a geometry-optimized MgSc2Nb2O8 structure, from Materials Project.

Unit cell a=5.277 b=5.309 c=6.217 alpha=83.56 beta=85.81 gamma=75.71
Sites, in units of the cell vectors:
Mg  0.000  0.000  0.000
Sc  0.398  0.241  0.088
Sc  0.889  0.160  0.470
Nb  0.386  0.671  0.517
Nb  0.797  0.647  0.764
O  0.028  0.369  0.993
O  0.041  0.462  0.543
O  0.098  0.888  0.711
O  0.178  0.962  0.274
O  0.525  0.429  0.800
O  0.546  0.418  0.314
O  0.627  0.917  0.507
O  0.660  0.915  0.981

* SG: P1



(C) wins, 0.012 eV/atom ahead of the next structure.



(A)
The following is a PBE calculation of a geometry-optimized Sm2MgNb2O8 structure, from Materials Project.

Unit cell a=7.973 b=7.973 c=5.313 alpha=105.52 beta=105.52 gamma=129.40
Sites, in units of the cell vectors:
Sm  0.000  0.000  0.000
Sm  0.681  0.319  0.500
Mg  0.351  0.649  0.500
Nb  0.154  0.846  0.500
Nb  0.510  0.490  0.000
O  0.038  0.527  0.481
O  0.255  0.412  0.099
O  0.312  0.209  0.526
O  0.359  0.121  0.976
O  0.473  0.962  0.519
O  0.588  0.745  0.901
O  0.791  0.688  0.474
O  0.879  0.641  0.024

* SG: C2



(B)
The following is a PBE calculation of a geometry-optimized Sm2MgNb2O8 structure, from Materials Project.

Unit cell a=6.931 b=6.931 c=5.406 alpha=112.66 beta=112.66 gamma=112.13
Sites, in units of the cell vectors:
Sm  0.000  0.000  0.000
Sm  0.743  0.257  0.500
Mg  0.298  0.702  0.000
Nb  0.280  0.720  0.500
Nb  0.530  0.470  0.000
O  0.019  0.662  0.609
O  0.076  0.402  0.033
O  0.205  0.374  0.593
O  0.338  0.981  0.391
O  0.408  0.225  0.088
O  0.598  0.924  0.967
O  0.626  0.795  0.407
O  0.775  0.592  0.912

* SG: C2



(A) wins, 0.096 eV/atom ahead of the next structure.



(A)
The following is a PBE calculation of a geometry-optimized Mg30NbSnO32 structure, from Materials Project.

Unit cell a=8.619 b=8.619 c=8.678 alpha=90.00 beta=90.00 gamma=90.00
Sites, in units of the cell vectors:

Windows is a proprietary product. It's developed by Microsoft, and the code on which it is built is a trade secret. This means that only Microsoft employees can contribute to the its development or add new features. It also means that you, the user have to accept an extensive set of terms, conditions, and restrictions when you install Windows on your PC.
You can't sell your copy of Windows or lend it to someone. You can't modify it, and you're not allowed to inspect its inner workings. There are also restrictions on how you're allowed to use it, and what hardware you're allowed to use it on. Development versions of Windows 11, for instance, ran quite happily on the Raspberry Pi. This functionality was taken away in release versions of Windows, and there's nothing you can do about it.
Linux is Free software with a capital F. This means you're free to use Linux however you want, and run it on whatever you want. You're free to inspect and modify the code, even if your changes break it. If you want to use Linux as a base, and fork it to create your own Linux, you're free to do that, too. As Free software, you're encouraged to tinker with Linux, and distribute copies to whoever wants one. Free doesn't necessarily mean without cost, and there's nothing stopping you from selling copies of Linux and keeping the money.
One vs Many

As Windows is owned by Microsoft, the company gets to say what is Windows and what isn't. There's usually only one version of Windows available at any time, and versions are released sequentially. Windows XP was followed by Vista, then Windows 7, 8, 8.1, 10, and 11. Right now, the only supported Windows versions are 10 and 11. You have exactly two choices.
Because of its open source development model, anyone can release their own Linux distro. Distros are developed with certain goals, aesthetics or ideals in mind. If you want you operating system to prioritise gaming above anything else, you'll find two or three specifically designed for gaming. Likewise there are distros whose primary purpose is productivity, education, or security. There are thousands of distros available for installation - or you can create your own.

What comes next are crystal structures, not part of the text:
<<<
DFT (r²SCAN) results for a geometry-optimized Th2N2O structure.

**Density**: 10.487 g/cm³
**Total energy**: -184.027 eV for the cell shown

Cell: 3.950 3.950 5.955 Å, 90.00 90.00 120.00°
Fractional coordinates of all 5 atoms:
Th: 0.333 0.667 0.252
Th: 0.667 0.333 0.748
N: 0.333 0.667 0.652
N: 0.667 0.333 0.348
O: 0.000 0.000 0.000

=====

1.
VASP calculation (GGA-PBE) on ZnAs2S4O8F12 after structural relaxation.

Calculated values
- energy of formation (kcal/mol of atoms) = -47.542
- space group = P2_1/c, No. 14

Cell and atoms, written as extended XYZ:
```
108
Lattice="8.820 0.000 0.000 0.000 14.048 0.000 -2.355 0.000 15.161" Properties=species:S:1:pos:R:3 pbc="T T T"
Zn 1.419 2.627 3.670
Zn 0.241 4.397 11.251
Zn 6.224 9.651 3.910
Zn 5.046 11.421 11.490
As -1.772 2.067 13.507
As -0.594 4.957 5.926
As 2.136 1.599 9.570
As 3.314 5.425 1.989
As 3.151 8.623 13.172
As 4.329 12.449 5.591
As 7.059 9.091 9.234
As 8.237 11.981 1.654
S -0.124 0.437 6.008
S -1.302 6.587 13.588
S 0.557 9.441 5.188
S -0.621 11.631 12.768
S 3.057 0.354 1.607
S 1.880 6.671 9.187
S 3.483 9.846 1.699
S 2.305 11.226 9.280
S 4.160 2.822 5.881
S 2.982 4.202 13.462
S 4.585 7.378 5.974
S 3.407 13.695 13.554
S 7.086 2.417 2.393
S 5.908 4.607 9.973
S 7.766 7.461 1.573
S 6.589 13.611 9.153
O -0.289 2.657 2.456
O -1.467 4.367 10.036
O -1.032 7.983 13.808
O 0.145 13.089 6.228
O 0.613 1.077 4.917
O -0.565 5.947 12.497
O 1.205 9.030 3.969
O 0.027 12.043 11.549
O 2.130 1.042 2.506
O 0.952 5.982 10.086
O 2.321 9.950 8.621
O 3.498 11.122 1.040
O 3.167 2.591 4.829
O 1.989 4.433 12.410
O 3.294 7.980 6.180
O 2.116 13.092 13.760
O 4.349 0.956 1.401
O 3.171 6.068 8.981
O 4.476 9.615 2.751
O 3.298 11.457 10.332
O 2.967 2.926 14.121
O 4.144 4.098 6.540
O 5.513 8.066 5.074
O 4.335 13.006 12.655
O 6.438 2.006 3.612
O 5.260 5.019 11.192
O 7.030 8.101 2.663
O 5.852 12.971 10.244
O 6.319 0.959 8.933
O 7.497 6.065 1.353
O 7.932 9.681 5.125
O 6.754 11.391 12.705
F -0.107 10.367 1.122
F -1.285 10.705 8.702
F -0.591 8.336 8.166
F 0.586 12.736 0.585
F -1.209 0.513 12.888
F -0.032 6.511 5.308
F -0.596 9.180 10.555
F 0.582 11.892 2.974
F -0.533 2.880 12.383
F 0.645 4.144 4.803
F -0.511 2.019 14.739
F 0.667 5.005 7.158
F 0.702 0.573 9.474
F 1.879 6.451 1.893
F 1.016 3.025 9.923
F 2.194 3.999 2.342
F 1.953 1.964 7.845
F 3.130 5.060 0.264
F 1.797 9.746 13.087
F 2.975 11.326 5.506
F 2.237 1.321 11.311
F 3.415 5.703 3.730
F 2.094 7.267 13.515
F 3.272 13.805 5.935
F 3.193 0.243 9.226
F 4.371 6.781 1.646
F 3.050 8.345 11.431
F 4.228 12.727 3.850
F 3.490 2.722 9.654
F 4.668 4.302 2.074
F 3.334 8.988 14.897
F 4.512 12.084 7.316
F 4.271 10.049 12.818
F 5.449 11.023 5.238
F 4.585 7.597 13.268
F 5.763 13.475 5.687
F 5.798 9.044 8.003
F 6.976 12.029 0.422
F 5.820 9.904 10.358
F 6.998 11.168 2.778
F 5.883 2.156 12.187
F 7.061 4.868 4.606
F 6.496 7.537 9.853
F 7.674 13.535 2.273
F 5.878 1.312 14.576
F 7.056 5.712 6.995
F 7.750 3.343 6.458
F 6.572 3.681 14.039
```

2.
>>>

If you've ever installed a copy of Microsoft Windows, you'll know just how much information you need to hand over to the company. In addition to your credit card details, you need an online Microsoft account. You're also asked whether you want to send basic or full diagnostic data to Redmond. Telemetry is turned on by default, and built-in tools record your keystrokes.
While Linux developers can technically build all kinds of monitoring solutions into their distros, with a few exceptions such as Red Star Linux, this doesn't happen. Most distros will give you a one-time opt-in for basic telemetry during setup, and that's it.
How Windows looks is dictated by Microsoft. You'll get a nifty set of wallpapers, a start bar which you can customise to a limited extent, and the standard Microsoft file manager. You can change the wallpaper and the screen resolution if you like, and there are some tools available which can tweak the appearance further.
Linux gives you the ultimate freedom to decide how your desktop looks and runs. While there are certain standard conventions for how a desktop environment should look, neither you nor developers are obliged to adhere to these.
If you don't like your default file manager, you can swap it for a different one. Likewise, you can switch out your entire desktop environment or ditch it altogether in favour of working solely on the command line.
Software compatibility

As Windows is the dominant player in desktop, almost all proprietary software is designed to be compatible with Windows. After all, you're not going to make a fortune designed software which only run on a fraction of all machines. This includes most productivity tools, games, Microsoft's own office suite, and more. Most games on the Steam store will run on Windows with no additional steps required
Few apps are designed solely to run on Linux, although high quality ports of Windows software are often available. But this doesn't mean that you're restricted in any way. Wine is a compatibility layer which allows you to run Windows software on Linux with little difficulty, while Steam's Proton lets you play almost all games on the store.
It's also possible to run Windows software in a virtual machine, and tools such as WinApps help you to install and run Windows apps on Linux seamlessly, using virtualization and RDP.
In the Free software world, the position is reversed, and many open source projects on GitHub are designed specifically for Linux. Windows users who want to install these files will have to use Windows Subsystem for Linux (WSL).
Installing software

If you want to install software on Windows, you'll typically visit a website, hand over your cash, and download an exe or msi file to your desktop. You'll double-click the file, and Windows will install the necessary binaries and library files to your program files directory. While there have been attempts to integrate storefronts into Windows these have largely been unsuccessful.
With Linux, most of the software you will want to use is kept in online repositories, and you install software through a single terminal command. Not all software is kept in a single repository, and you can add new Personal Package Archives (PPAs) with another command - vastly increasing the amount of software available to you.
You can also add software to Linux by downloading binaries directly, by using specially packaged files such as Flatpak or snap, or as a standalone app images. Many distros will also have a GUI storefront or package manager.

Barely a week goes by without a panic over some previously undetected vulnerability. Microsoft typically rolls out new security patches on the second Tuesday of every month - known as patch Tuesday. These patches aren't just for the system itself, and will also patch other Microsoft products such as Office.
Windows doesn't really have a privilege separation system, which means that once you install an app on your system, it's pretty much free to do whatever it or its creators want. This can be good, or it could be bad.
Patches are released for Linux on a regular basis - although there aren't nearly as many critical security vulnerabilities. When you update your system, either by using a single terminal command or automatically, all of the software is updated - not just the operating system. This makes sure that the entirety of your Linux install is always up-to-date, and always protected against threats.
The package management system means that software is installed and updated from trusted sources rather than sketchy download sites, and Linux privilege separation, means that different users and applications have different levels of access to system resources. This helps to prevent malware from gaining access to sensitive data or critical system components.
System requirements

Windows is a heavyweight operating system and the current version, Windows 11 requires your PC to have a 1GHZ dual core 64 bit processor, 4GB RAM, 64GB storage, a Trusted Platform Module, and a display of at least 9 inches. These are fairly arbitrary, and as we mentioned earlier, Windows 11 would happily chug along on a Raspberry Pi.
There are no minimum system requirements for Linux, although some distros are designed for particular hardware.
Regardless what antique hunk of junk is cluttering up your living room, it's guaranteed that there's a distro which will run on it. Individual projects have managed to get Linux running on the venerable Commodore Amiga 500, the Nintendo DS, and on items of kitchen equipment such as toasters.
Linux Vs Windows - which is for you?
Most articles of this type will state the pros and cons of each system and give an ambiguous non-committal answer, ultimately leaving the choice up to you.
However, Linux is better in almost every possible way. Linux is more secure, more privacy friendly, and will run on anything.
Best of all, you're free to do whatever you want with your Linux system: Modify it, break it, sell it, or experiment with it. It's entirely up to you!